What to do:
Next, say how many lines of the data below hold the word "crystal_system", as a bare number.
File:
********
1.
5
Lattice="3.646 -2.025 0.000 3.646 2.025 0.000 -3.632 0.000 8.515" Properties=species:S:1:pos:R:3 comment="CsZnGePO, optimized geometry, DFT PBE" e_form_raw_kj_per_mol_atoms=-58.54 crystal_system=monoclinic polymorph_energy_ev_per_fu=0.58 pbc="T T T"
Cs 0.000 0.000 0.000
Zn 2.456 0.000 3.194
Ge 0.388 0.000 5.299
P 4.822 0.000 3.218
O 1.333 0.000 6.763



2.
12
Lattice="2.963 1.711 8.381 -2.963 1.711 8.381 0.000 -3.422 8.381" Properties=species:S:1:pos:R:3 comment="CsPaGe2O8, optimized geometry, DFT PBE" e_form_raw_kj_per_mol_atoms=-183.35 crystal_system=trigonal pbc="T T T"
Cs 0.000 0.000 0.000
Pa 0.000 0.000 12.571
Ge 0.000 0.000 6.009
Ge 0.000 0.000 19.133
O -1.518 -0.876 11.311
O 0.000 0.000 7.784
O 0.000 -1.753 13.831
O -1.518 0.876 13.831
O 1.518 -0.876 11.311
O 0.000 1.753 11.311
O 0.000 0.000 17.358
O 1.518 0.876 13.831



3.
20
Lattice="-4.363 4.363 4.363 4.363 -4.363 4.363 4.363 4.363 -4.363" Properties=species:S:1:pos:R:3 comment="Cs4Pa3GeO12, optimized geometry, DFT PBE" e_form_raw_kj_per_mol_atoms=-241.59 crystal_system=cubic pbc="T T T"
Cs 2.182 2.182 -2.182
Cs 2.182 -2.182 2.182
Cs -2.182 2.182 2.182
Cs 2.182 2.182 2.182
Pa 4.363 0.000 0.000
Pa 0.000 4.363 0.000
Pa 0.000 0.000 4.363
Ge 0.000 0.000 0.000
O 2.071 0.000 0.000
O 6.656 0.000 0.000
O 0.000 2.071 0.000
O 0.000 0.000 2.071
O 4.363 2.182 0.000
O 4.363 0.000 2.182
O 2.182 4.363 0.000
O 2.182 0.000 4.363
O 0.000 4.363 2.182
O 0.000 2.182 4.363
O 0.000 6.656 0.000
O 0.000 0.000 6.656



4.
18
Lattice="3.591 2.073 6.226 -3.591 2.073 6.226 0.000 -4.146 6.226" Properties=species:S:1:pos:R:3 comment="Cs2PaGe3O12, optimized geometry, DFT PBE" e_form_raw_kj_per_mol_atoms=-150.34 crystal_system=trigonal pbc="T T T"
Cs 0.000 0.000 2.217
Cs 0.000 0.000 16.462
Pa 0.000 0.000 9.340
Ge -1.795 -1.037 6.226
Ge -1.795 1.037 12.453
Ge 0.000 2.073 6.226
O -1.514 -0.874 8.084
O 0.000 -1.615 5.925
O -1.398 0.807 5.925
O -1.398 -0.807 12.755
O 0.000 -1.748 10.595
O -1.514 0.874 10.595
O 1.514 -0.874 8.084
O 0.000 1.748 8.084
O 1.398 0.807 5.925
O 1.398 -0.807 12.755
O 0.000 1.615 12.755
O 1.514 0.874 10.595



5.
11
Lattice="5.282 -3.049 0.000 5.282 3.049 0.000 -2.983 0.000 6.651" Properties=species:S:1:pos:R:3 comment="Cs2PaGe2O6, optimized geometry, DFT PBE" e_form_raw_kj_per_mol_atoms=-207.70 crystal_system=monoclinic pbc="T T T"
Cs 1.890 0.000 1.155
Cs 5.690 0.000 5.497
Pa -1.491 0.000 3.326
Ge 2.084 0.000 5.250
Ge 5.497 0.000 1.401
O 0.467 0.000 4.272
O 3.050 1.463 4.679
O 4.531 1.463 1.972
O 3.050 -1.463 4.679
O 4.531 -1.463 1.972
O 7.113 0.000 2.379



6.
16
Lattice="3.850 -5.083 0.000 3.850 5.083 0.000 -3.651 0.000 7.393" Properties=species:S:1:pos:R:3 comment="CsPaGeO5, optimized geometry, DFT PBE" e_form_raw_kj_per_mol_atoms=-245.36 crystal_system=monoclinic pbc="T T T"
Cs 1.111 3.393 5.545
Cs 2.937 -3.393 1.848
Pa 3.850 0.000 0.000
Pa 2.024 0.000 3.697
Ge 2.937 3.134 1.848
Ge 1.111 -3.134 5.545
O -1.677 0.875 6.516
O 1.906 2.053 2.849
O 0.148 -0.875 2.819
O 3.968 2.053 0.847
O 1.111 0.513 5.545
O 2.937 -0.513 1.848
O 0.080 -2.053 6.546
O 3.900 0.875 4.574
O 2.143 -2.053 4.544
O 5.725 -0.875 0.878



7.
8
Lattice="-3.268 3.268 3.660 3.268 -3.268 3.660 3.268 3.268 -3.660" Properties=species:S:1:pos:R:3 comment="CsGePb2O4, optimized geometry, DFT PBE" e_form_raw_kj_per_mol_atoms=-122.91 crystal_system=tetragonal pbc="T T T"
Cs 0.000 0.000 0.000
Ge 0.000 0.000 3.660
Pb 3.268 0.000 1.830
Pb 0.000 3.268 1.830
O 2.223 2.223 -1.030
O 1.045 -1.045 4.690
O 1.045 1.045 2.631
O -1.045 1.045 4.690



8.
16
Lattice="6.298 0.000 0.000 0.000 8.122 0.000 0.000 0.000 7.021" Properties=species:S:1:pos:R:3 comment="Cs2GePbO4, optimized geometry, DFT PBE" e_form_raw_kj_per_mol_atoms=-147.73 crystal_system=orthorhombic pbc="T T T"
Cs 1.575 0.065 1.555
Cs 1.575 3.996 1.555
Cs 4.724 4.126 5.466
Cs 4.724 8.057 5.466
Ge 1.575 6.092 4.586
Ge 4.724 2.031 2.435
Pb 1.575 2.031 4.958
Pb 4.724 6.092 2.063
O 0.111 6.092 3.507
O 1.575 4.588 5.523
O 1.575 7.595 5.523
O 3.038 6.092 3.507
********
Written answer:
8